
A Serverless Content Management System for websites built with AWS.

Primary LanguageVue

A Serverless Content Management System for Websites built with AWS

A serverless alternative to WordPress, Drupal, Joomla, and other Content Management Systems. This project can be used to create, manage, and host websites with static and frequently changing content. Easily extend to build in whatever functionality you need. This project uses AWS Serverless Application Model (SAM) to build the backend system and AWS Ampilfy and Vue.js to create a Single-Page Application (SPA) for authenticated access to manage content.

All pieces in the architecture diagram below are loosely coupled and individually relatively simple. Put together they form a serverless content management system that is highly performant for end users while being secure, redundant, AND cost effective (costing as little as a few dollars per month). All content is served to end users from CloudFront (AWS's CDN) so the website will perform at the highest level and can automatically scale to meet any demand.

Serverless Content Management System Architecture

Why build this?

This project is intended to be a Proof of Concept for a Serverless Content Management System. I have used all sorts of content management systems over the years (like WordPress, Drupal Joomla) and they all work great. However, I have never wanted ALL the functionality that comes with those systems nor the need to provision or pay for server hosting.

There are some other options out there, like Webiny, but that uses React and I have taken to Vue.js. I really just want a lean system that can be easily deployed and then be able to quickly build, publish, and manage websites using AWS. This project is intended to show how it could work.

Installing this project will yield a working content management system. While I use it for my own production projects, there are no warranties. There are many topics covered with this project so it would be a great way to get exposed to AWS, Lambda (Node.js runtime), Amplify, Vue.js, Step Functions, and more. In particular, this project shows how you can join together AWS components to form applications.

Getting Started

Install this serverless content management system in three steps. First install the backend using the SAM CLI. Second, install the Amplify/Vue.js admin module which creates the SPA used to manage the content and the corresponding authentication and API. Finally, connect the two and update your settings. The first two steps are automated and use command-line interfaces. The last step requires configuration in the AWS Console.

Once installed you will have a fully functioning Serverless Content Management System.


You will need the following:

  • An AWS account
  • General knowledge of AWS and know your way around the Console.
  • AWS Amplify CLI

********
Density functional theory data (GGA-PBE) for a relaxed structure of CaH2.

Calculated values
ΔH_f (0 K): -618 meV/atom
MP2020-corrected energy: -3.548 eV per atom

Structure (POSCAR):
```
CaH2
1.0
1.074 1.712 -3.236
-3.470 0.655 1.443
1.944 4.099 2.814
H Ca
4 2
direct
0.667 0.333 0.250
0.000 0.000 0.000
0.333 0.667 0.750
0.000 0.000 0.500
0.333 0.667 0.250
0.667 0.333 0.750
```

***

Density functional theory data (GGA-PBE) for a relaxed structure of CaH3.

Calculated values
ΔH_f (0 K): -201 meV/atom
MP2020-corrected energy: -3.247 eV per atom

Structure (POSCAR):
```
CaH3
1.0
1.167 -3.386 -1.045
-1.806 -3.043 1.182
-2.028 -2.015 -2.397
H Ca
3 1
direct
0.000 0.000 0.000
0.750 0.750 0.750
0.250 0.250 0.250
0.500 0.500 0.500
```
********


  1. Start with the README in the sam-backend folder to install the backend.

  2. Next, go to the README in the amplify-vue-admin-module folder to install the Admin SPA, authentication, and the API.

  3. Finally, connect the two by following these instructions.

What does the CMS look like?

The Serverless Content Management System was designed to meet the following requirements:

  • Provides the highest level of performance and availability to end users.
  • Allows absolute control over the HTML served to end users.
  • Allows non-technical users to EASILY and securely manage content with the ability to make changes on their own in real-time.
  • Is easily extendable to serve frequently changing content and process simple user data like contact forms and image uploads.
  • Is secure and resistant to hacking / spam attacks.
  • Is cost effective.

This Serverless Content Management System meets all of these requirements. The screens below give a taste.

Admin Module Login

Secure sign using AWS CloudFront and Cognito. Once authenticated, you can manage Pages, Products, Images, Assets, Snippets, and Layouts.

sign in


Create as many pages as you need. Products are similar to Pages and optionally allow you to host a catalog or list of your products, services or whatever the website is offering.



Use as many layouts as you need. Layouts can reference your css and/or js frameworks and provide basic structure to your pages. Snippets, reusable pieces like footers, navigation, and tracking tags, can be added to layouts.


Edit Page

Manage content with simple forms and use WYSIWYG editors with the ability to add inline photos. Pages and Products can be assigned different layouts.

**Records of crystals, as found in the file:**
┌──
DFT (GGA-PBE) results for crystalline Na5ScNb3Si5PO24 at its relaxed geometry.

Computed properties:
The value obtained for the MP2020-corrected energy is -935.331 eV/cell. The total energy is -7.57 eV/atom. The formation energy comes out at -3.01 eV per atom.

abc: 9.058 9.066 22.629
angles: 89.88 89.92 60.04
Fractional coordinates of all 117 atoms:
Na: 0.000 0.000 0.000
Na: 0.000 0.367 0.249
Na: 0.008 0.365 0.750
Na: 0.052 0.023 0.667
Na: 0.311 0.408 0.666
Na: 0.314 0.025 0.170
Na: 0.335 0.348 0.330
Na: 0.344 0.699 0.580
Na: 0.345 0.683 0.090
Na: 0.386 0.356 0.001
Na: 0.645 0.741 0.999
Na: 0.666 0.666 0.667
Na: 0.676 0.033 0.913
Na: 0.686 0.032 0.418
Na: 0.702 0.698 0.330
Sc: 0.344 0.691 0.230
Sc: 0.345 0.703 0.728
Sc: 0.674 0.038 0.061
Nb: 0.006 0.366 0.892
Nb: 0.009 0.366 0.599
Nb: 0.010 0.362 0.395
Nb: 0.010 0.370 0.102
Nb: 0.341 0.700 0.436
Nb: 0.341 0.704 0.932
Nb: 0.675 0.033 0.557
Nb: 0.676 0.037 0.268
Nb: 0.680 0.029 0.769
Si: 0.011 0.073 0.498
Si: 0.012 0.654 0.996
Si: 0.049 0.994 0.828
Si: 0.052 0.701 0.331
Si: 0.296 0.077 0.997
Si: 0.301 0.368 0.497
Si: 0.339 0.990 0.328
Si: 0.383 0.331 0.161
Si: 0.388 0.035 0.664
Si: 0.634 0.412 0.331
Si: 0.636 0.701 0.828
Si: 0.677 0.319 0.663
Si: 0.718 0.657 0.497
Si: 0.720 0.368 0.997
Si: 0.964 0.744 0.663
P: 0.343 0.407 0.830
P: 0.678 0.741 0.163
P: 0.967 0.034 0.162
O: 0.023 0.536 0.340
O: 0.031 0.181 0.839
O: 0.035 0.168 0.557
O: 0.046 0.527 0.054
O: 0.145 0.731 0.389
O: 0.147 0.871 0.888
O: 0.150 0.885 0.168
O: 0.152 0.720 0.667
O: 0.158 0.914 0.769
O: 0.173 0.165 0.056
O: 0.177 0.650 0.275
O: 0.181 0.391 0.556
O: 0.183 0.889 0.491
O: 0.184 0.187 0.338
O: 0.185 0.387 0.839
O: 0.189 0.663 0.991
O: 0.196 0.330 0.159
O: 0.199 0.204 0.942
O: 0.199 0.210 0.658
O: 0.207 0.344 0.439
O: 0.309 0.889 0.990
O: 0.310 0.918 0.267
O: 0.316 0.511 0.774
O: 0.316 0.539 0.492
O: 0.358 0.518 0.166
O: 0.363 0.502 0.886
O: 0.367 0.868 0.666
O: 0.378 0.860 0.384
O: 0.480 0.070 0.721
O: 0.481 0.201 0.220
O: 0.487 0.050 0.000
O: 0.487 0.196 0.503
O: 0.487 0.237 0.102
O: 0.506 0.230 0.828
O: 0.506 0.497 0.388
O: 0.509 0.506 0.666
O: 0.512 0.008 0.607
O: 0.514 0.721 0.887
O: 0.515 0.730 0.168
O: 0.516 0.008 0.323
O: 0.532 0.540 0.990
O: 0.532 0.672 0.491
O: 0.559 0.533 0.274
O: 0.561 0.667 0.769
O: 0.648 0.876 0.827
O: 0.649 0.222 0.322
O: 0.651 0.222 0.607
O: 0.659 0.845 0.107
O: 0.702 0.199 0.000
O: 0.702 0.830 0.219
O: 0.703 0.844 0.503
O: 0.712 0.193 0.721
O: 0.813 0.403 0.054
O: 0.814 0.537 0.556
O: 0.824 0.388 0.340
O: 0.827 0.536 0.839
O: 0.837 0.563 0.439
O: 0.837 0.836 0.721
O: 0.840 0.059 0.503
O: 0.842 0.561 0.159
O: 0.845 0.341 0.941
O: 0.847 0.841 0.001
O: 0.850 0.052 0.216
O: 0.852 0.333 0.658
O: 0.858 0.013 0.827
O: 0.858 0.866 0.323
O: 0.867 0.869 0.607
O: 0.888 0.014 0.105
O: 0.975 0.556 0.659
O: 0.978 0.203 0.160
O: 0.983 0.557 0.941
O: 0.987 0.197 0.442
└──

wysiwyg editor

Preview & Publish

Preview your changes from a staging S3 bucket website before publishing for end users on CloudFront, the AWS CDN.

preview and publish

Published Content

Easily add your own styles, images, scripts, and content and quickly publish pages.

published content

Additional Details


Out of the box you control what your pages look like with layouts, snippets, assets, and images. Add whatever css frameworks or templates you like to the your layouts. Layouts can contain snippets (like navigation or footer) and individual pages can be assigned specific layouts. Pages also can have specific css and js added to the head or at the bottom of the page.

You can create your own Lambdas and modify the Step Function for even more customization. For example, you could add a Lambda and a new Step Function path to create a catalog listing of your products that could be rebuilt and refreshed as products change.

"Products" are included in the installation and are intended to get you started. Customize "Products" however you need. Currently Products have "Features" which are tied to products and generate a simple list when the pages are built by the Step Function. Note that we are taking advantage of DynamoDB's NoSQL structure to extend Products by using a unique Partition Key but then different Sort Keys. "Product" and "Product Features" have the same Partition Key but different Sort Keys. This could easily be expanded to include additional data specific to your products. You could add a similar configuration for "Product Images" or anything else.

Using DynamoDB as the primary data store also provides redundancy and disaster recovery with automatic point-in-time recovery and manual backups.

Contact Forms

I add serverless contact forms to the sites I've built using this system. That functionality has been handled well by other folks, so I'll refer you to them. You can certainly create the contact us page in this CMS but build the API Gateway and Lambdas as described in this blog post.

Custom Domain Names

You can use AWS Certificate Manager and AWS Route 53 to update your CloudFront distribution to use your custom domain name.

Future Enhancements

It should be straightforward to roll the SAM Build application (install step 1) into the Amplify framework (install step 2) thereby allowing an even simpler deployment. Further, by combining the first two steps into one, it would eliminate the need to connect them in the current third installation step. When I get some more time I will look into it!

Sample Sites using Serverless CMS

A Real Estate Team uses this CMS to manage their static pages and their real estate listings. They are able to add and edit their listings and pages. Custom workflow includes rebuilding and refreshing Active and Sold pages when there are changes to listings. In addition, there is additional image processing to resize, optimize, and generate thumbnails.